Have I been mis-prouncing it this whole time? English is not my first language I am French. I am talking about Oligarchy
Bernie has a very strong Brooklyn accent which is why the R turns to aw, but either pronunciation is totally fine.
No, you’re right. It’s just how it sounds with Sanders’ distinct accent.
Bernie Sanders can pronounce it however the fuck he wants, with as thick of a brooklyn accent as he wants.
He has earned at least that much lol
Some east coast areas, like where Sanders is from, inherited non-rhoticity from England. The “r” is pronounced in most US accents.
Hey cool thanks for this! Love learning about language and have never even heard this term before , or I guess as Bernie would say “I have Nevah even head of this tem befoe” lol
If you loved this then you will likely enjoy British linguist YouTuber @DrGeoffLindsey.
**What comes next are calculated crystals, not part of the piece**
~~~
# 1
Simulated X-ray powder pattern of Pm3Y2Zn2 for Cu Kα (weighted mean of Kα1 and Kα2), from a crystal structure in Alexandria, relaxed with GGA-PBE.
Lines closer than 0.1° are merged.

Lattice parameters (Å, degrees): 3.6521 3.6521 29.7577 90.00 90.00 90.00
Space group I4/mmm (No. 139)
Asymmetric unit:
Pm1 0.0000 0.0000 0.0000
Pm2 0.0000 0.0000 0.1215
Y1 0.0000 0.0000 0.2911
Zn1 0.0000 0.0000 0.4389

Largest 10 diffraction maxima, sorted by position, 2θ from 10° to 90°:
| index | two_theta | I (rel.) |
| --- | --- | --- |
| 1 0 1 | 24.6 | 16 |
| 1 0 5 | 28.7 | 15 |
| 1 0 7 | 32.3 | 100 |
| 1 1 0 | 34.7 | 62 |
| 1 0 9 | 36.7 | 28 |
| 2 0 0 | 49.9 | 22 |
| 1 0 17 | 58.5 | 10 |
| 2 1 7 | 60.7 | 32 |
| 2 1 9 | 63.5 | 11 |
| 3 1 0 | 83.8 | 10 |

---

# 2
Simulated X-ray powder pattern of Pm5YZn6 for Cu Kα (weighted mean of Kα1 and Kα2), from a crystal structure in Alexandria, relaxed with GGA-PBE.
Lines closer than 0.1° are merged.

Lattice parameters (Å, degrees): 5.1439 7.2992 8.1455 90.00 108.21 90.00
Space group P2/m (No. 10)
Asymmetric unit:
Pm1 0.0000 0.0000 0.0000
Pm2 0.3322 0.0000 0.6641
Pm3 0.3340 0.5000 0.6680
Y1 0.0000 0.5000 0.0000
Zn1 0.1643 0.2530 0.3286
Zn2 0.5000 0.2550 0.0000

Largest 10 diffraction maxima, sorted by position, 2θ from 10° to 90°:
| index | two_theta | I (rel.) |
| --- | --- | --- |
| 1 0 1 | 24.4 | 15 |
| 1 2 1 | 34.8 | 100 |
| 2 0 -1 | 34.9 | 20 |
| 2 0 2 | 50.0 | 14 |
| 2 0 -4 | 50.2 | 7 |
| 2 4 -1 | 62.3 | 21 |
| 3 2 0 | 62.4 | 14 |
| 3 2 -3 | 62.6 | 7 |
| 2 4 2 | 73.4 | 7 |
| 3 2 3 | 83.8 | 11 |

---

# 3
Simulated X-ray powder pattern of Pm5Y4Zn for Cu Kα (weighted mean of Kα1 and Kα2), from a crystal structure in Alexandria, relaxed with GGA-PBE.
Lines closer than 0.1° are merged.

Lattice parameters (Å, degrees): 3.6370 3.6370 23.9573 90.00 90.00 90.00
Space group P4/mmm (No. 123)
Asymmetric unit:
Pm1 0.0000 0.0000 0.0000
Pm2 0.0000 0.0000 0.2112
Pm3 0.0000 0.0000 0.4243
Y1 0.5000 0.5000 0.1053
Y2 0.5000 0.5000 0.3160
Zn1 0.5000 0.5000 0.5000

Largest 10 diffraction maxima, sorted by position, 2θ from 10° to 90°:
| index | two_theta | I (rel.) |
| --- | --- | --- |
| 1 0 4 | 28.7 | 11 |
| 1 0 5 | 30.9 | 100 |
| 0 0 9 | 33.7 | 9 |
| 1 1 0 | 34.9 | 45 |
| 1 1 9 | 49.3 | 12 |
| 2 0 0 | 50.2 | 16 |
| 1 1 10 | 52.2 | 11 |
| 1 0 14 | 59.7 | 13 |
| 2 1 5 | 60.1 | 29 |
| 2 1 14 | 81.7 | 11 |

---

# 4
Simulated X-ray powder pattern of Pm3YZn2 for Cu Kα (weighted mean of Kα1 and Kα2), from a crystal structure in Alexandria, relaxed with GGA-PBE.
Lines closer than 0.1° are merged.

Lattice parameters (Å, degrees): 5.1603 9.3267 6.8058 90.00 90.00 90.00
Space group Pmc2_1 (No. 26)
Asymmetric unit:
Pm1 0.0000 0.0574 0.0000
Pm2 0.0000 0.3312 0.3377
Pm3 0.5000 0.1737 0.6776
Y1 0.5000 0.4440 0.0227
Zn1 0.0000 0.3496 0.7892
Zn2 0.5000 0.1542 0.2301

Largest 10 diffraction maxima, sorted by position, 2θ from 10° to 90°:
| index | two_theta | I (rel.) |
| --- | --- | --- |
| 1 2 1 | 28.9 | 62 |
| 1 0 2 | 31.5 | 46 |
~~~
I’ll also toss A Way with Words on the pile too. It’s a long running NPR-adjacent radio show/podcast about linquistics.
My favorite was a dive they did on the descriptor “like a dead preacher” to refer to an annoying awkward thing to move.
The further NE you go in the US the more non-rhotic the dialect becomes, more or less.
You say to mah to, I say to may to… we both agree that we need to tear down this unjust vegetal system and sing Les Marseilles while we do it.
You are correct. It is le garky not la garky. But Bernie does not follow the norms of gendered language.
Most words will sound different every few miles. There are countless regional accents, meaning there is no right or wrong. I’m northern Irish and I say mir instead of mirror. It’s wrong but it’s not wrong, if you know what I mean.
Have you never heard of an accent before?
No I haven’t. Up until I read these replies on Lenny I had no idea it was a thing. TIL
I’m going to assume you’re not being sarcastic here. Aren’t there accents in France?
You should hear how us mountain folk pronounce it.
Awl-uh-garky, or all-uh-gurky are the two most common at my shooting club (and yes, left wing shooting clubs exist in the south, even here in the sticks).
I’ve been pronouncing it all-e-glucky
The second vowel is an unstressed “i”. In most varieties of English, since it is unstressed, we pronounce it as a schwa, which sounds roughly like “uh”.
If you’d like to articulate that syllable, like you might do in French, then pronounce it like the “i” in “sit”. That’s completely optional.
oh, it’s garlicky
Isn’t oligarchy a loan word from the French language? Or like, if not a loan word I’m sure it at least has French etymology